Travel in your 30s: become the adventurous badass you were born to be

Real tales of adventure, told by real Flashpackers. This piece is written by a member of our incredible Flash Pack community. To share your own Flash Pack story, drop us a DM on Instagram and we’ll be right there.
Serial Flashpacker Jenni has travelled with Flash Pack on a series of adventures, including Sri Lanka, Thailand/Laos, Myanmar and the Philippines.
Before I travelled the world, I was happy with my life. I had just started a new job I really loved, I had a close circle of friends and a daily routine that I enjoyed. My week mainly consisted of work Monday to Friday with weekends as the highlight: meeting with friends, going to dinner parties and generally having a good time.
I had been single for a while, which was never a problem until things changed. One after another, my friends started having babies, getting married, building houses and generally needing more time with their own families.
Spontaneous meetups were happening less and less, and planned summer holidays and fun weekend getaways were postponed.
“We’ll go next year, I promise!”
“It’s so busy at work, I really can’t take time off right now.”
“I’m sorry, I just can’t afford it this time.”
I’m sure many of you over 30 have heard these sentences more than once. My daily routine started feeling more and more like a treadmill without any goal at all.
In search of adventure

These calculated crystals were left in the article by mistake =
/*
# 1
# CsBeF3

Crystalline CsBeF3 at its relaxed geometry (PBE-GGA, the Materials Project).

Lattice parameters (Å, degrees): 4.0353 4.0353 4.0353 90.00 90.00 90.00
Fractional positions:
Cs (0.0000, 0.0000, 0.0000)
Be (0.5000, 0.5000, 0.5000)
F (0.0000, 0.5000, 0.5000)
F (0.5000, 0.0000, 0.5000)
F (0.5000, 0.5000, 0.0000)

Summary:
Formation energy: -1324 kJ/mol of formula units
Space-group type: No. 221
Total magnetic moment: 0.00 μB/f.u.
Offset from the most stable computed form: 662.6 meV per atom
Crystal system: cubic
E: -22.7 eV/cell



# 2
# Na3B2PO5F4

Crystalline Na3B2PO5F4 at its relaxed geometry (PBE-GGA, the Materials Project).

Lattice parameters (Å, degrees): 9.1700 7.0741 7.0741 57.83 90.00 90.00
Fractional positions:
Na (0.0000, 0.0000, 0.0000)
Na (0.0000, 0.2970, 0.2970)
Na (0.0000, 0.6826, 0.6826)
Na (0.5000, 0.0000, 0.0000)
Na (0.5000, 0.2970, 0.2970)
Na (0.5000, 0.6826, 0.6826)
B (0.2500, 0.1291, 0.6410)
B (0.2500, 0.5568, 0.4150)
B (0.7500, 0.4150, 0.5568)
B (0.7500, 0.6410, 0.1291)
P (0.2500, 0.3394, 0.8761)
P (0.7500, 0.8761, 0.3394)
O (0.1079, 0.3374, 0.9856)
O (0.2500, 0.1278, 0.8494)
O (0.2500, 0.3420, 0.4413)
O (0.2500, 0.5538, 0.6266)
O (0.3921, 0.3374, 0.9856)
O (0.6079, 0.9856, 0.3374)
O (0.7500, 0.4413, 0.3420)
O (0.7500, 0.6266, 0.5538)
O (0.7500, 0.8494, 0.1278)
O (0.8921, 0.9856, 0.3374)
F (0.1228, 0.0002, 0.6494)
F (0.1227, 0.6818, 0.2904)
F (0.3772, 0.0002, 0.6494)
F (0.3773, 0.6818, 0.2904)
F (0.6227, 0.2904, 0.6818)
F (0.6228, 0.6494, 0.0002)
F (0.8773, 0.2904, 0.6818)
F (0.8772, 0.6494, 0.0002)

Summary:
Formation energy: -4228 kJ/mol of formula units
Space-group type: No. 40
Total magnetic moment: 0.00 μB/f.u.
Crystal system: orthorhombic
E: -187.3 eV/cell

=====

1.
Y8Cu3Si3Se21 | PBE | relaxed

a b c (Å): 10.272 18.244 10.288
angles (deg): 90.00 119.76 90.00
Sites, in units of the cell vectors:
Y: 0.133 0.000 0.270
Y: 0.135 0.335 0.278
Y: 0.136 0.663 0.277
Y: 0.227 0.999 0.865
Y: 0.228 0.335 0.853
Y: 0.229 0.664 0.859
Y: 0.357 0.169 0.631
Y: 0.361 0.834 0.635
Y: 0.639 0.334 0.365
Y: 0.643 0.669 0.369
Y: 0.771 0.164 0.141
Y: 0.772 0.835 0.147
Y: 0.773 0.499 0.135
Y: 0.864 0.163 0.723
Y: 0.865 0.835 0.722
Y: 0.867 0.500 0.730
Cu: 0.001 0.348 0.500
Cu: 0.002 0.185 0.500
Cu: 0.005 0.516 0.502
Cu: 0.995 0.016 0.498
Cu: 0.998 0.685 0.500
Cu: 0.999 0.848 0.500
Si: 0.328 0.807 0.163
Si: 0.336 0.138 0.170
Si: 0.337 0.470 0.168
Si: 0.663 0.970 0.832
Si: 0.664 0.638 0.830
Si: 0.672 0.307 0.837
Se: 0.094 0.507 0.334
Se: 0.097 0.175 0.333
Se: 0.098 0.750 0.019
Se: 0.098 0.844 0.336
Se: 0.099 0.087 0.019
Se: 0.101 0.420 0.020
Se: 0.161 0.509 0.760
Se: 0.162 0.176 0.762
Se: 0.164 0.843 0.762
Se: 0.260 0.010 0.597
Se: 0.260 0.681 0.598
Se: 0.261 0.337 0.595
Se: 0.331 0.930 0.166
Se: 0.333 0.263 0.166
Se: 0.335 0.595 0.166
Se: 0.418 0.086 0.401
Se: 0.418 0.754 0.398
Se: 0.421 0.422 0.402
Se: 0.478 0.089 0.074
Se: 0.480 0.753 0.081
Se: 0.481 0.420 0.076
Se: 0.519 0.920 0.924
Se: 0.520 0.253 0.919
Se: 0.522 0.589 0.926
*/
The article goes on =

I always wanted to see more of the world, but I was hesitant to do it on my own. I started looking into group travelling but I had some misgivings about the idea. The thought of sharing a room with a stranger worried me. Paying for a single supplement felt too expensive. What if I didn’t get along with the group?
There were always some things on the itineraries I found that didn’t really speak to me, too. Would I be forced to do stuff I’m just not into? Would I still have time on my own? I decided to jump in at the deep end, booking with a non-Flash Pack company on a round trip to Costa Rica.
It was my first time flying alone overseas and it was quite exciting. I loved the country, and I liked the general concept of group travel. There were just some things that needed improvement, including a targeted age range.
I couldn’t keep up with 20-year-olds who wanted to party every night. But neither did I want to be in bed by 8pm, like some of our 50+ participants. After that first experience, I felt the need for:
– Better accommodation
– More people who were on their own like me. A group of pre-existing friends travelling together on a group trip tends to separate off a lot.
– More exclusive activities that would be harder to organise on my own
– No hidden costs
A Flash Pack awakening

I started searching the internet and stumbled over Flash Pack. Was this just what I was looking for? I had a chat with one of their travel agents and after asking a tonne of questions, I booked my first trip with Flash Pack to Sri Lanka.
Just two months later I found myself on a flight to Colombo. As a WhatsApp chat group had been set up in advance, I was able to connect with my fellow Flashpackers before the trip and some of us arranged to meet up during transit.
Our guide gave us a warm welcome at the airport in Colombo, including a flower chain. After checking out the spacious room at the first hotel, I spent some time at the pool before the welcome dinner kicked off our vacation.
It turned out that we were all women on that trip, and we came from all over the world. We connected easily and after just the second day together, we ended up drinking and talking through the night. It felt so good to feel understood and be at the same point in life with my fellow travellers; we were all going through similar life situations, and were facing the same fears and challenges. There was a lot of laughing involved, as we exchanged personal stories over ex-boyfriends, job failures and our funniest sex stories (let’s just say, the thought of Ninja action figures will probably haunt me for life!)
All those stories were the perfect start to the adventure that followed, from hanging out in a train to Ella, to performing Britney Spears songs on a bus ride at night, and releasing baby turtles back into the wild.
Making memories and moments of joy

I returned home with a load of beautiful memories, a lifted spirit and a heart full of love for the people and the country I just got to know a little bit better. I’m lucky that I can still call some of these ladies my friends; even though we are spread all over the world, we are forever connected by sharing the same experiences.
My trip to Sri Lanka opened up a whole new world full of possibilities for me I wasn’t even aware of: I was hooked. I felt like I immediately needed to book another trip, and just six months later, I decided to join Flash Pack’s Thailand and Laos trip. Not having to worry about any level of organisation was a big bonus for me: it got rid of so much stress.
I met my new group at a hotel in Bangkok before heading for welcome drinks at a rooftop bar. Our wonderful guide Amy went above and beyond to immerse us in Thai culture. We joined snoozing locals on the sleeper train to Chiang Mai, before eating a typical kind of Chiang Mai sausage and noodles. We trekked through the jungle where we got treated to an alfresco feast: super-spicy chicken and rice that had been cooked in bamboo just for us. I’m sure many of us still have those handmade chopsticks and cups now.
We went white-water rafting, which was such a daunting prospect for me, it left me in tears before we started – everyone from the group was so sweet about it, though. Group travel helps you to step out of your comfort zone and it can be great for facing your fears straight-on.
Soon after, we jumped on a boat on the Mekong river to head to Laos. Our time in Laos was really one of a kind. On the constant hunt for an even better massage place, I always remember the time I ended up showering under a rusty showerhead placed directly over a toilet in a backyard; having been invited to sit in “a steam sauna”. I was half-laughing, half-crying during the massage as my fellow Flashpackers begged for more pressure, or fell asleep snoring. Needless to say, I went to bed afterwards full of memories and overflowing with joy.
The badass within

My time in Laos and Thailand made me even more of a fan of group travel, and I joined a couple more Flash Pack tours after. Happily, the timing of these in 2019 allowed me to tick off a few bucket list moments before Covid hit.
Hot air balloon ride over Bagan? ✔️
Spending NYE on a secluded beach in the Philippines ? ✔️
During these Flash Pack tours I learned to step back. I got to know different cultures and perspectives while living in the moment, without worrying about anything else.
Don’t get me wrong; even while travelling with a group you’ll sometimes feel lonely. On the other hand, you’ll find people to share these special moments of awe. No matter where you choose to travel to, I can promise that the experience of a group adventure will lead to personal growth and challenge. You’ll leave prejudices behind, and will feel better in your own skin.
I loved my little escapes from everyday life, work and society’s expectations. It was an invitation to be the adventurous badass I couldn’t be at home with zero judgement. During my trips, I met people who inspired me – people with totally different backgrounds and unique professions. People I would have never met in my everyday life. Now I feel connected to the world – and to myself more than ever before.
This article was written by a member of the incredible Flash Pack community. Got a story or adventure that could inspire a solo traveller like you? Tag @flashpack on social or email [email protected] to be featured.